# Assignment
What is needed: transcribe everything underneath word for word.

# Material
-- begin --
(1)
VASP calculation (GGA-PBE) on a geometry-optimized MgSeO5 structure.

## Properties
- SG = C2/c (15)
- energy of formation from the pure elements (eV per atom) = -1.3104
- E_tot (eV/atom) = -5.08

Unit cell a=5.3287 b=5.3287 c=7.8690 alpha=104.73 beta=104.73 gamma=96.04
Element x y z (fractional)
Mg  0.0000  0.5000  0.0000
Mg  0.5000  0.0000  0.5000
Se  0.0862  0.9138  0.7500
Se  0.9138  0.0862  0.2500
O  0.1717  0.2460  0.8351
O  0.1875  0.7796  0.9183
O  0.2204  0.8125  0.5817
O  0.2460  0.1717  0.3351
O  0.3325  0.6675  0.2500
O  0.6675  0.3325  0.7500
O  0.7540  0.8283  0.6649
O  0.7796  0.1875  0.4183
O  0.8125  0.2204  0.0817
O  0.8283  0.7540  0.1649

(2)
VASP calculation (GGA-PBE) on a geometry-optimized Mg5Si8O30 structure.

## Properties
- energy relative to the lowest polymorph listed for this composition (meV per atom) = 0
- SG = C2/m (12)
- energy of formation from the pure elements (eV per atom) = -2.1890
- E_tot (eV/atom) = -6.36

Unit cell a=11.4839 b=11.4839 c=5.3455 alpha=99.64 beta=99.64 gamma=105.72
Element x y z (fractional)
Mg  0.0000  0.0000  0.0000
Mg  0.0956  0.9044  0.5000
Mg  0.1704  0.8296  0.0000
Mg  0.8296  0.1704  0.0000
Mg  0.9044  0.0956  0.5000
Si  0.0445  0.3776  0.4707
Si  0.1250  0.2946  0.9758
Si  0.2946  0.1250  0.9758
Si  0.3776  0.0445  0.4707
Si  0.6224  0.9555  0.5293
Si  0.7054  0.8750  0.0242
Si  0.8750  0.7054  0.0242
Si  0.9555  0.6224  0.5293
O  0.0000  0.5000  0.5000
O  0.0018  0.8250  0.1027
O  0.0592  0.0592  0.3978
O  0.0754  0.7466  0.6307
O  0.1256  0.3764  0.7531
O  0.1321  0.3828  0.2562
O  0.1750  0.9982  0.8973
O  0.2292  0.6892  0.1743
O  0.2480  0.2480  0.0008
O  0.2534  0.9246  0.3693
O  0.3108  0.7708  0.8257
O  0.3412  0.6588  0.5000
O  0.3622  0.6378  0.0000
O  0.3764  0.1256  0.7531
O  0.3828  0.1321  0.2562
O  0.5000  0.0000  0.5000
O  0.6172  0.8679  0.7438
O  0.6236  0.8744  0.2469
O  0.6378  0.3622  0.0000
O  0.6588  0.3412  0.5000
O  0.6892  0.2292  0.1743
O  0.7466  0.0754  0.6307
O  0.7520  0.7520  0.9992
O  0.7708  0.3108  0.8257
O  0.8250  0.0018  0.1027
O  0.8679  0.6172  0.7438
O  0.8744  0.6236  0.2469
O  0.9246  0.2534  0.3693
O  0.9408  0.9408  0.6022
O  0.9982  0.1750  0.8973

(3)
VASP calculation (GGA-PBE) on a geometry-optimized MgSiO3 structure.

## Properties
- SG = P2/c (13)
- energy of formation from the pure elements (eV per atom) = -3.2155
- E_tot (eV/atom) = -7.18

Unit cell a=9.4067 b=8.8964 c=5.2287 alpha=90.00 beta=93.95 gamma=90.00
Element x y z (fractional)
Mg  0.0000  0.0990  0.2500
Mg  0.0000  0.2622  0.7500
Mg  0.0000  0.7378  0.2500
Mg  0.0000  0.9010  0.7500
Mg  0.5000  0.2347  0.2500
Mg  0.5000  0.4010  0.7500
Mg  0.5000  0.5990  0.2500
Mg  0.5000  0.7653  0.7500
Si  0.2089  0.4103  0.0604
Si  0.2089  0.5897  0.5604
Si  0.2946  0.0899  0.6359
Si  0.2946  0.9101  0.1359
Si  0.7054  0.0899  0.8641
Si  0.7054  0.9101  0.3641
Si  0.7911  0.4103  0.4396
Si  0.7911  0.5897  0.9396
O  0.1203  0.0920  0.6034
O  0.1203  0.9080  0.1034
O  0.1205  0.2584  0.0886
O  0.1205  0.7416  0.5886
O  0.1539  0.4586  0.7585
O  0.1539  0.5414  0.2585
O  0.3492  0.0471  0.9408
O  0.3492  0.9529  0.4408
O  0.3778  0.2393  0.5528
O  0.3778  0.7607  0.0528
O  0.3831  0.4079  0.0755
O  0.3831  0.5921  0.5755
O  0.6169  0.4079  0.4245
O  0.6169  0.5921  0.9245
O  0.6222  0.2393  0.9472
O  0.6222  0.7607  0.4472
O  0.6508  0.0471  0.5592
O  0.6508  0.9529  0.0592
O  0.8461  0.4586  0.7415
O  0.8461  0.5414  0.2415
O  0.8795  0.2584  0.4114
O  0.8795  0.7416  0.9114
O  0.8797  0.0920  0.8966
O  0.8797  0.9080  0.3966

(4)
VASP calculation (GGA-PBE) on a geometry-optimized Mg7Si4O16 structure.

## Properties
- SG = C2 (5)
- energy of formation from the pure elements (eV per atom) = -2.9917
- E_tot (eV/atom) = -6.74

Unit cell a=7.7073 b=7.7073 c=5.6841 alpha=110.13 beta=110.13 gamma=99.86
Element x y z (fractional)
Mg  0.0000  0.0000  0.0000
Mg  0.1370  0.4209  0.5371
Mg  0.3801  0.1522  0.5024
Mg  0.5791  0.8630  0.4629
Mg  0.7374  0.2626  0.0000
-- stop --

# Solution
(1)
VASP calculation (GGA-PBE) on a geometry-optimized MgSeO5 structure.

## Properties
- SG = C2/c (15)
- energy of formation from the pure elements (eV per atom) = -1.3104
- E_tot (eV/atom) = -5.08

Unit cell a=5.3287 b=5.3287 c=7.8690 alpha=104.73 beta=104.73 gamma=96.04
Element x y z (fractional)
Mg  0.0000  0.5000  0.0000
Mg  0.5000  0.0000  0.5000
Se  0.0862  0.9138  0.7500
Se  0.9138  0.0862  0.2500
O  0.1717  0.2460  0.8351
O  0.1875  0.7796  0.9183
O  0.2204  0.8125  0.5817
O  0.2460  0.1717  0.3351
O  0.3325  0.6675  0.2500
O  0.6675  0.3325  0.7500
O  0.7540  0.8283  0.6649
O  0.7796  0.1875  0.4183
O  0.8125  0.2204  0.0817
O  0.8283  0.7540  0.1649

(2)
VASP calculation (GGA-PBE) on a geometry-optimized Mg5Si8O30 structure.

## Properties
- energy relative to the lowest polymorph listed for this composition (meV per atom) = 0
- SG = C2/m (12)
- energy of formation from the pure elements (eV per atom) = -2.1890
- E_tot (eV/atom) = -6.36

Unit cell a=11.4839 b=11.4839 c=5.3455 alpha=99.64 beta=99.64 gamma=105.72
Element x y z (fractional)
Mg  0.0000  0.0000  0.0000
Mg  0.0956  0.9044  0.5000
Mg  0.1704  0.8296  0.0000
Mg  0.8296  0.1704  0.0000
Mg  0.9044  0.0956  0.5000
Si  0.0445  0.3776  0.4707
Si  0.1250  0.2946  0.9758
Si  0.2946  0.1250  0.9758
Si  0.3776  0.0445  0.4707
Si  0.6224  0.9555  0.5293
Si  0.7054  0.8750  0.0242
Si  0.8750  0.7054  0.0242
Si  0.9555  0.6224  0.5293
O  0.0000  0.5000  0.5000
O  0.0018  0.8250  0.1027
O  0.0592  0.0592  0.3978
O  0.0754  0.7466  0.6307
O  0.1256  0.3764  0.7531
O  0.1321  0.3828  0.2562
O  0.1750  0.9982  0.8973
O  0.2292  0.6892  0.1743
O  0.2480  0.2480  0.0008
O  0.2534  0.9246  0.3693
O  0.3108  0.7708  0.8257
O  0.3412  0.6588  0.5000
O  0.3622  0.6378  0.0000
O  0.3764  0.1256  0.7531
O  0.3828  0.1321  0.2562
O  0.5000  0.0000  0.5000
O  0.6172  0.8679  0.7438
O  0.6236  0.8744  0.2469
O  0.6378  0.3622  0.0000
O  0.6588  0.3412  0.5000
O  0.6892  0.2292  0.1743
O  0.7466  0.0754  0.6307
O  0.7520  0.7520  0.9992
O  0.7708  0.3108  0.8257
O  0.8250  0.0018  0.1027
O  0.8679  0.6172  0.7438
O  0.8744  0.6236  0.2469
O  0.9246  0.2534  0.3693
O  0.9408  0.9408  0.6022
O  0.9982  0.1750  0.8973

(3)
VASP calculation (GGA-PBE) on a geometry-optimized MgSiO3 structure.

## Properties
- SG = P2/c (13)
- energy of formation from the pure elements (eV per atom) = -3.2155
- E_tot (eV/atom) = -7.18

Unit cell a=9.4067 b=8.8964 c=5.2287 alpha=90.00 beta=93.95 gamma=90.00
Element x y z (fractional)
Mg  0.0000  0.0990  0.2500
Mg  0.0000  0.2622  0.7500
Mg  0.0000  0.7378  0.2500
Mg  0.0000  0.9010  0.7500
Mg  0.5000  0.2347  0.2500
Mg  0.5000  0.4010  0.7500
Mg  0.5000  0.5990  0.2500
Mg  0.5000  0.7653  0.7500
Si  0.2089  0.4103  0.0604
Si  0.2089  0.5897  0.5604
Si  0.2946  0.0899  0.6359
Si  0.2946  0.9101  0.1359
Si  0.7054  0.0899  0.8641
Si  0.7054  0.9101  0.3641
Si  0.7911  0.4103  0.4396
Si  0.7911  0.5897  0.9396
O  0.1203  0.0920  0.6034
O  0.1203  0.9080  0.1034
O  0.1205  0.2584  0.0886
O  0.1205  0.7416  0.5886
O  0.1539  0.4586  0.7585
O  0.1539  0.5414  0.2585
O  0.3492  0.0471  0.9408
O  0.3492  0.9529  0.4408
O  0.3778  0.2393  0.5528
O  0.3778  0.7607  0.0528
O  0.3831  0.4079  0.0755
O  0.3831  0.5921  0.5755
O  0.6169  0.4079  0.4245
O  0.6169  0.5921  0.9245
O  0.6222  0.2393  0.9472
O  0.6222  0.7607  0.4472
O  0.6508  0.0471  0.5592
O  0.6508  0.9529  0.0592
O  0.8461  0.4586  0.7415
O  0.8461  0.5414  0.2415
O  0.8795  0.2584  0.4114
O  0.8795  0.7416  0.9114
O  0.8797  0.0920  0.8966
O  0.8797  0.9080  0.3966

(4)
VASP calculation (GGA-PBE) on a geometry-optimized Mg7Si4O16 structure.

## Properties
- SG = C2 (5)
- energy of formation from the pure elements (eV per atom) = -2.9917
- E_tot (eV/atom) = -6.74

Unit cell a=7.7073 b=7.7073 c=5.6841 alpha=110.13 beta=110.13 gamma=99.86
Element x y z (fractional)
Mg  0.0000  0.0000  0.0000
Mg  0.1370  0.4209  0.5371
Mg  0.3801  0.1522  0.5024
Mg  0.5791  0.8630  0.4629
Mg  0.7374  0.2626  0.0000